Labor Resource Forecast General Tab

Use the General tab to select report options for the Labor Resource Actuals report and to save sets of options for reuse.


Field Description
Report Name You can change the default report name.
Format Select the type of data the report displays for each employee:
  • Hours

  • Cost Amount

  • Billing Amount

  • Revenue

# 1
# CaSb3Se

A relaxed CaSb3Se crystal (GGA-PBE, Alexandria via LeMat-Bulk).

Cell lengths 5.704, 5.704, 5.704 Å; angles 90.00, 90.00, 90.00 degrees
Positions (direct):
Sb 0.000 0.500 0.000
Sb 0.000 0.000 0.500
Sb 0.500 0.000 0.000
Ca 0.000 0.000 0.000
Se 0.500 0.500 0.500

Computed properties:
Distance to the lowest polymorph of the same formula   0.7116 eV/atom
SG   No. 221
Density of states at the Fermi level   8.9 states/eV/cell

# 2
# Sm2Zn2SbRh5

A relaxed Sm2Zn2SbRh5 crystal (GGA-PBE, Alexandria via LeMat-Bulk).

Cell lengths 3.671, 9.785, 9.785 Å; angles 90.00, 90.00, 90.00 degrees
Positions (direct):
Sm 0.000 0.674 0.174
Sm 0.000 0.326 0.826
Sm 0.000 0.174 0.326
Sm 0.000 0.826 0.674
Zn 0.000 0.123 0.623
Zn 0.000 0.877 0.377
Zn 0.000 0.623 0.877
Zn 0.000 0.377 0.123
Sb 0.000 0.000 0.000
Sb 0.000 0.500 0.500
Rh 0.500 0.206 0.066
Rh 0.500 0.794 0.934
Rh 0.500 0.066 0.794
Rh 0.500 0.706 0.434
Rh 0.500 0.934 0.206
Rh 0.500 0.294 0.566
Rh 0.500 0.566 0.706
Rh 0.500 0.434 0.294
Rh 0.500 0.500 0.000
Rh 0.500 0.000 0.500

Computed properties:
SG   No. 127
Density of states at the Fermi level   13.5 states/eV/cell
VASP energy   -0.4356 Ry/atom

# 3
# GaFeI

A relaxed GaFeI crystal (GGA-PBE, Alexandria via LeMat-Bulk).

Cell lengths 3.850, 6.259, 7.179 Å; angles 64.11, 105.48, 89.99 degrees
Positions (direct):
I 0.351 0.651 0.698
I 0.649 0.349 0.302
Ga 0.105 0.894 0.211
Ga 0.895 0.106 0.789
Fe 0.500 0.816 0.000
Fe 0.500 0.184 0.000

Computed properties:
SG   No. 2
Density of states at the Fermi level   3.4 states/eV/cell
VASP energy   -0.3097 Ry/atom

# 4
# ScBeRu2

A relaxed ScBeRu2 crystal (GGA-PBE, Alexandria via LeMat-Bulk).

Cell lengths 5.164, 5.164, 4.126 Å; angles 66.44, 66.44, 34.25 degrees
Positions (direct):
Sc 0.499 0.499 0.500
Ru 0.995 0.995 0.004
Ru 0.738 0.738 0.763
Be 0.269 0.269 0.232

Computed properties:
Energy of formation from the pure elements   -0.216 eV per atom
SG   No. 8
Density of states at the Fermi level   2.2 states/eV/cell

# 5
# LaAl3Cu

A relaxed LaAl3Cu crystal (GGA-PBE, Alexandria via LeMat-Bulk).

Cell lengths 6.149, 6.149, 6.149 Å; angles 139.05, 139.05, 59.30 degrees
Positions (direct):
La 0.997 0.997 0.000
Al 0.403 0.403 0.000
Al 0.247 0.747 0.500
Al 0.747 0.247 0.500
Cu 0.630 0.630 0.000

Computed properties:
Energy of formation from the pure elements   -0.482 eV per atom
Distance to the lowest polymorph of the same formula   0.0000 eV/atom
SG   No. 107
Density of states at the Fermi level   2.4 states/eV/cell

# 6
# Ba2SrLi3Sb4

A relaxed Ba2SrLi3Sb4 crystal (GGA-PBE, Alexandria via LeMat-Bulk).

Cell lengths 4.917, 4.917, 12.594 Å; angles 90.00, 90.00, 90.00 degrees
Positions (direct):
Ba 0.500 0.000 0.223
Ba 0.000 0.500 0.777
Sr 0.500 0.500 0.500
Li 0.000 0.000 0.500
Li 0.500 0.000 0.880
Li 0.000 0.500 0.120
Sb 0.500 0.500 0.000
Sb 0.000 0.000 0.000
Sb 0.500 0.000 0.661
Sb 0.000 0.500 0.339

Computed properties:
SG   No. 115
Density of states at the Fermi level   1.0 states/eV/cell
End of the data records >

  • Percentage — Select this option to display the ratio of employee actual hours to expected hours for each period, expressed as a percentage. For example, if an employee's expected number of hours for a period is 40 and she works 50 hours, the report displays 125 (125%) for that period.

  • Alerts — To identify deviations from the expected working hours for employees, select this option and enter a percentage in Standard Utility Percentage. The report displays OVER for a period for employees whose hours exceed the expected hours by more than the percentage in Standard Utility Percentage. It displays UNDER for a period for employees whose hours are less than the expected hours by more than the percentage in Standard Utility Percentage. (The expected hours are specified in Hours/Day on the Personal tab of the Employee Info Center.)

If you select Alerts, also enter a percentage in Standard Utility Percentage.

If you select Percentage or Alerts, Vision takes into consideration the holidays and non-working days in the calendar on the Holiday Configuration form (Configuration > General > Holiday Calendar) when it calculates expected hours.

Your access to labor cost rates and amounts may be restricted by role security.

Standard Utility Percentage If you select Alerts in Format, enter a percentage to indicate how far an employee's actual hours can vary from the expected hours before it results in an UNDER or OVER alert on the report.

For example, suppose you enter 10 in Standard Utility Percentage. If the number of expected hours for an employee for a period is 100 hours, and that employee only works 85 hours, the report displays UNDER for that period. The actual hours are more than ten percent less than the expected hours. If the employee works 95 hours, the report displays OK for the period. The actual hours are less than the expected hours, but the variance is only five percent. If the employee works 112 hours, the report displays OVER for the period because the actual hours are over ten percent more than the expected hours.

If you do not enter a percentage, the report displays UNDER or OVER for any variance from the expected hours.

Period Scale Select one of the following period scales.
  • Daily

  • Weekly

  • Bi-Weekly — A two-week period.

  • Semi-Monthly — One semi-monthly period runs from the first to the fifteenth of the month. The second semi-monthly period runs from the sixteenth to the end of the month.

  • Monthly

  • Accounting Period

  • Quarterly

  • Yearly

For example, if you want the report to display monthly totals of hours or amounts, select Monthly.

Start Day of the Week If you select Weekly or Bi-Weekly in Period Scale, select the starting day of the week.

The default selection is the day specified in Starting Day of Week on the Plan Settings form (Configuration > Planning > Plan Settings).

Range Select the number of reporting periods to display. The maximum number is 20.

This option determines the number of periods, and the Period Scale option determines the type of period. For example, if you select Monthly in Period Scale and 6 in Range, the report displays data for six monthly periods.

Decimal Setting Select the number of decimal digits to display for hours or amounts.

If you select Hours in Format, your options are the following:

  • No Decimal — The report displays the number of hours without decimal digits (12).

Crystal structures that have nothing to do with the text:
=====
[1]
The following is a DFT calculation (GGA-PBE) of a relaxed Hf6TlRu crystal.

```
data_Hf6TlRu
_cell_length_a 6.010
_cell_length_b 6.010
_cell_length_c 6.011
_cell_angle_alpha 106.66
_cell_angle_beta 106.66
_cell_angle_gamma 106.65
_symmetry_space_group_name_H-M 'P 1'
_symmetry_Int_Tables_number 1
loop_
_symmetry_equiv_pos_as_xyz
'x,y,z'
loop_
_atom_site_label
_atom_site_type_symbol
_atom_site_fract_x
_atom_site_fract_y
_atom_site_fract_z
Hf1 Hf 0.228 0.228 0.670
Hf2 Hf 0.670 0.228 0.228
Hf3 Hf 0.772 0.772 0.330
Hf4 Hf 0.772 0.330 0.772
Hf5 Hf 0.330 0.772 0.772
Hf6 Hf 0.228 0.670 0.228
Tl1 Tl 0.000 0.000 0.000
Ru1 Ru 0.500 0.500 0.500
```

Output
- SG: R-3m
- Volume: 22.809 Å³ per atom
- M_tot: 0.00 μB per cell
- Energy of formation from the pure elements: 181 meV per atom

***

[2]
The following is a DFT calculation (GGA-PBE) of a relaxed PuGe2Sb crystal.

```
data_PuGe2Sb
_cell_length_a 4.344
_cell_length_b 4.457
_cell_length_c 4.457
_cell_angle_alpha 90.00
_cell_angle_beta 90.00
_cell_angle_gamma 90.00
_symmetry_space_group_name_H-M 'P 1'
_symmetry_Int_Tables_number 1
loop_
_symmetry_equiv_pos_as_xyz
'x,y,z'
loop_
_atom_site_label
_atom_site_type_symbol
_atom_site_fract_x
_atom_site_fract_y
_atom_site_fract_z
Sb1 Sb 0.500 0.000 0.000
Ge1 Ge 0.000 0.000 0.500
Ge2 Ge 0.000 0.500 0.000
Pu1 Pu 0.500 0.500 0.500
```

Output
- SG: P4/mmm
- Uncorrected formation energy: -0.33 eV per atom
- Volume: 21.575 Å³ per atom
- M_tot: 5.02 μB per cell

***

[3]
The following is a DFT calculation (GGA-PBE) of a relaxed Tb2SiH crystal.

```
data_Tb2SiH
_cell_length_a 4.324
_cell_length_b 4.324
_cell_length_c 7.495
_cell_angle_alpha 73.24
_cell_angle_beta 73.24
_cell_angle_gamma 60.00
_symmetry_space_group_name_H-M 'P 1'
_symmetry_Int_Tables_number 1
loop_
_symmetry_equiv_pos_as_xyz
'x,y,z'
loop_
_atom_site_label
_atom_site_type_symbol
_atom_site_fract_x
_atom_site_fract_y
_atom_site_fract_z
H1 H 0.000 0.000 0.000
Si1 Si 0.500 0.500 0.500
Tb1 Tb 0.101 0.101 0.696
Tb2 Tb 0.899 0.899 0.304
```

Output
- SG: R-3m
- Final energy: -4.80 eV per atom
- Volume: 28.608 Å³ per atom
- M_tot: 0.01 μB per cell

***

[4]
The following is a DFT calculation (GGA-PBE) of a relaxed Cs2AsO4 crystal.

```
data_Cs2AsO4
_cell_length_a 10.628
_cell_length_b 9.285
_cell_length_c 9.285
_cell_angle_alpha 89.67
_cell_angle_beta 90.00
_cell_angle_gamma 90.00
_symmetry_space_group_name_H-M 'P 1'
_symmetry_Int_Tables_number 1
loop_
_symmetry_equiv_pos_as_xyz
'x,y,z'
loop_
_atom_site_label
_atom_site_type_symbol
_atom_site_fract_x
_atom_site_fract_y
_atom_site_fract_z
Cs1 Cs 0.500 0.254 0.254
Cs2 Cs 0.000 0.241 0.759
Cs3 Cs 0.000 0.759 0.241
Cs4 Cs 0.500 0.746 0.746
Cs5 Cs 0.500 0.741 0.259
Cs6 Cs 0.000 0.754 0.754
Cs7 Cs 0.500 0.259 0.741
Cs8 Cs 0.000 0.246 0.246
As1 As 0.250 0.000 0.500
As2 As 0.750 0.000 0.500
As3 As 0.750 0.500 0.000
As4 As 0.250 0.500 0.000
O1 O 0.340 0.155 0.499
O2 O 0.660 0.155 0.499
O3 O 0.160 0.001 0.345
O4 O 0.840 0.999 0.655
O5 O 0.840 0.001 0.345
=====

  • 1 Digit — The report displays the number of hours with one digit to the right of the decimal point (12.1).

  • 2 Digits — The report displays the number of hours with two digits to the right of the decimal point (12.13).

If you select Cost Amount, Billing Amount, or Revenue in Format, your options are the following:

  • No Decimal — The report displays amounts without decimal digits (12).

  • Currency — The report displays amounts with the number of decimal digits specified for the currency in the Currency Configuration form.

If the Format option is set to Alerts or Percentage, this option is not available.

Column Width Enter the width of each of the period columns in inches or millimeters based on which one you selected in the Unit of Measure field on the Layout tab of the Options dialog box.

Vision automatically keeps this option and the Width option for these columns on the Columns tab the same. If you change the width for the period columns in either place, Vision changes the value of the other to match.

Start Date Select the starting date for the data on the report:
  • Today — The report displays data starting with the current date.

  • Specific Date — The report displays data starting with the date you specify. Enter the date, or click and select the date.

Exclude Non-working Days If you select Daily in Period Scale, select this check box if you do not want the report to display reporting period columns for the non-work days specified in the company calendars on the Holiday Configuration form (Configuration > General > Holiday Calendar).

The primary purpose of this option is to reserve space on the report for work days.

Apply Plan Probability to All Amounts Select this check box if you want Vision to include plan probabilities when it calculates plan amounts.

For example, if the plan probability is 50%, the amounts that the report displays for the plan are 50% of the original amounts.

Only Include Plans Marked for Utilization and Project Reports If you select this option, the report includes only those plans that you select in the Plan Lookup dialog box for which the Include in Utilization and Project Reports option is selected on the General tab of the Project Planning form.

If you do not select this option, the report includes all plans that you select in the Plan Lookup dialog box.

Only Include Mapped Plans Select this option to only include plans that are mapped to projects.

To map a plan to a project, you connect a plan's elements to existing or to-be-created projects, phases, and tasks. As you charge actual time and expenses to the project, Vision automatically updates your plan with those hours and amounts.